********
Record 1
ORCA calculation (ωB97M-V/def2-TZVPD) on the ion C7H13O with charge -1 in a non-equilibrium geometry.

As for the total charge: -1. As for the molar mass: 113.18 g mol⁻¹. For the LUMO energy, the calculation gives 4.01 eV. For the HOMO-LUMO gap, the calculation gives 4.84 eV. As for the total energy: -9515.5979 eV. The energy relative to the best compared isomer or geometry (same formula, charge and spin) comes out at 18.85 kcal/mol.

Last column: Löwdin charge in e.
Element x y z (Å)
H -2.742 3.232 0.632  0.033
H 1.397 0.854 1.550  0.057
H 1.017 -3.513 0.206  0.100
H 2.269 -1.246 0.689  0.093
H -1.867 3.423 -0.934  0.031
H 2.485 -0.284 -0.731  0.065
C 0.988 0.501 0.609  -0.231
H 1.350 -1.868 -1.783  0.088
H -0.351 2.954 1.246  0.044
C -2.109 2.747 -0.110  -0.202
H -0.550 0.736 -0.841  0.084
C 0.835 -1.604 -0.881  -0.219
C 0.276 -2.756 -0.071  -0.296
H -2.639 1.878 -0.503  0.042
O -0.357 -2.254 1.097  -0.102
H -0.493 -3.242 -0.689  0.097
H -0.017 -1.008 -1.211  0.082
C 1.721 -0.648 -0.048  -0.274
C -0.808 2.261 0.546  -0.275
H -0.243 -1.283 1.117  0.052
C -0.162 1.119 0.110  -0.271

Record 2
ORCA calculation (ωB97M-V/def2-TZVPD) on a cluster of 8 separate species, C18H52O18S5 in total in a non-equilibrium geometry.

As for the molar mass: 716.93 g mol⁻¹. For the LUMO energy, the calculation gives 0.18 eV. For the HOMO-LUMO gap, the calculation gives 10.62 eV. As for the total energy: -110532.8978 eV. Its structure (SMILES) is CCOS(C)(=O)=O.CCOS(C)(=O)=O.CCOS(C)(=O)=O.CCOS(C)(=O)=O.CCOS(C)(=O)=O.CO.CO.CO. The energy relative to the best compared isomer or geometry (same formula, charge and spin) comes out at 72.76 kcal/mol.

Last column: Löwdin charge in e.
Element x y z (Å)
S 5.025 0.459 0.466  0.674
H -2.398 0.894 -4.976  0.065
H 0.321 -2.896 -1.694  0.108
H -3.984 -2.751 -2.103  0.065
H -4.839 4.685 -6.423  0.081
O 0.560 -0.663 6.081  -0.323
H 4.774 -7.019 -0.882  0.075
H -1.868 1.527 -1.096  0.065
H -3.671 4.894 -5.205  0.059
H 1.225 2.602 2.269  0.077
H 0.824 1.068 1.543  0.061
H -6.501 4.544 -4.295  0.116
S -5.108 -2.358 0.029  0.698
H -1.353 0.211 0.126  0.069
O -1.464 -1.156 -2.524  -0.324
H 6.635 1.127 -1.273  0.068
H -0.262 4.583 -0.113  0.058
H 3.154 -2.177 -0.713  0.057
H 7.222 -0.157 -0.263  0.057
H -1.029 4.850 2.599  0.073
H -0.406 1.330 7.785  0.069
C -0.188 4.828 -1.172  -0.169
H 6.701 -1.862 1.214  0.098
H 1.706 -2.053 -2.475  0.122
C -1.106 0.841 -0.729  -0.099
H 0.443 -0.037 3.607  0.121
C 2.198 -2.670 -0.539  -0.072
C 5.420 -3.470 1.739  -0.052
O -5.052 -1.115 0.798  -0.310
C 6.340 0.190 -0.802  -0.106
H 5.347 -3.899 0.740  0.064
H 3.701 -7.975 0.091  0.076
O 2.327 0.924 6.984  -0.306
C 0.502 1.052 3.599  -0.308
O -5.544 2.786 -4.697  -0.275
O 5.578 1.110 1.640  -0.295
O -3.936 -3.407 0.516  -0.245
S -0.410 -0.221 -2.039  0.717
H -5.568 -1.895 -2.335  0.066
C -4.739 5.012 -5.389  -0.062
H 4.516 -3.718 2.295  0.072
C -1.841 -3.250 1.640  -0.022
H 1.951 -2.487 0.507  0.085
C -2.633 -3.057 0.312  -0.359
C -0.153 1.860 6.867  -0.102
H 3.642 -6.248 0.206  0.067
C 5.717 -1.897 1.679  -0.227
H -2.592 -2.009 0.011  0.081
H -0.822 -2.922 1.435  0.066
O 0.718 -0.958 -1.051  -0.289
H 1.310 3.577 -1.345  0.079
H -3.541 1.666 -6.221  0.070
O 0.514 0.559 -2.914  -0.310
H -4.918 6.087 -5.356  0.077
H 5.717 -7.991 1.040  0.076
O -4.100 2.034 -2.726  -0.310
H -1.416 2.816 2.115  0.053
H 2.376 1.280 2.440  0.082
H -2.002 3.678 0.811  0.047
H -2.457 -2.650 2.309  0.086
H -3.268 3.159 1.943  0.099
H -0.939 1.970 6.121  0.059
C 1.169 -2.227 -1.543  -0.270
C -5.483 4.159 -4.351  -0.280
H 6.232 -3.970 2.266  0.075
O 4.742 -1.192 0.849  -0.308
O 3.856 1.043 -0.168  -0.294
O -5.024 0.224 -4.243  -0.309
S 1.116 0.726 6.170  0.720
H 2.689 -3.636 -0.652  0.073
H -1.831 -4.319 1.857  0.079
H 0.232 5.821 -1.337  0.080
S -4.494 1.598 -4.043  0.710
O -1.972 4.672 2.563  -0.112
H -5.182 4.165 -3.303  0.108
H -0.280 1.504 -0.471  0.044
H -2.125 -3.459 -0.565  0.114
C -3.077 1.706 -5.236  -0.080
O 0.573 3.894 -1.872  -0.114
********

Please transcribe all of the block further up character by character.

Record 1
ORCA calculation (ωB97M-V/def2-TZVPD) on the ion C7H13O with charge -1 in a non-equilibrium geometry.

As for the total charge: -1. As for the molar mass: 113.18 g mol⁻¹. For the LUMO energy, the calculation gives 4.01 eV. For the HOMO-LUMO gap, the calculation gives 4.84 eV. As for the total energy: -9515.5979 eV. The energy relative to the best compared isomer or geometry (same formula, charge and spin) comes out at 18.85 kcal/mol.

Last column: Löwdin charge in e.
Element x y z (Å)
H -2.742 3.232 0.632  0.033
H 1.397 0.854 1.550  0.057
H 1.017 -3.513 0.206  0.100
H 2.269 -1.246 0.689  0.093
H -1.867 3.423 -0.934  0.031
H 2.485 -0.284 -0.731  0.065
C 0.988 0.501 0.609  -0.231
H 1.350 -1.868 -1.783  0.088
H -0.351 2.954 1.246  0.044
C -2.109 2.747 -0.110  -0.202
H -0.550 0.736 -0.841  0.084
C 0.835 -1.604 -0.881  -0.219
C 0.276 -2.756 -0.071  -0.296
H -2.639 1.878 -0.503  0.042
O -0.357 -2.254 1.097  -0.102
H -0.493 -3.242 -0.689  0.097
H -0.017 -1.008 -1.211  0.082
C 1.721 -0.648 -0.048  -0.274
C -0.808 2.261 0.546  -0.275
H -0.243 -1.283 1.117  0.052
C -0.162 1.119 0.110  -0.271

Record 2
ORCA calculation (ωB97M-V/def2-TZVPD) on a cluster of 8 separate species, C18H52O18S5 in total in a non-equilibrium geometry.

As for the molar mass: 716.93 g mol⁻¹. For the LUMO energy, the calculation gives 0.18 eV. For the HOMO-LUMO gap, the calculation gives 10.62 eV. As for the total energy: -110532.8978 eV. Its structure (SMILES) is CCOS(C)(=O)=O.CCOS(C)(=O)=O.CCOS(C)(=O)=O.CCOS(C)(=O)=O.CCOS(C)(=O)=O.CO.CO.CO. The energy relative to the best compared isomer or geometry (same formula, charge and spin) comes out at 72.76 kcal/mol.

Last column: Löwdin charge in e.
Element x y z (Å)
S 5.025 0.459 0.466  0.674
H -2.398 0.894 -4.976  0.065
H 0.321 -2.896 -1.694  0.108
H -3.984 -2.751 -2.103  0.065
H -4.839 4.685 -6.423  0.081
O 0.560 -0.663 6.081  -0.323
H 4.774 -7.019 -0.882  0.075
H -1.868 1.527 -1.096  0.065
H -3.671 4.894 -5.205  0.059
H 1.225 2.602 2.269  0.077
H 0.824 1.068 1.543  0.061
H -6.501 4.544 -4.295  0.116
S -5.108 -2.358 0.029  0.698
H -1.353 0.211 0.126  0.069
O -1.464 -1.156 -2.524  -0.324
H 6.635 1.127 -1.273  0.068
H -0.262 4.583 -0.113  0.058
H 3.154 -2.177 -0.713  0.057
H 7.222 -0.157 -0.263  0.057
H -1.029 4.850 2.599  0.073
H -0.406 1.330 7.785  0.069
C -0.188 4.828 -1.172  -0.169
H 6.701 -1.862 1.214  0.098
H 1.706 -2.053 -2.475  0.122
C -1.106 0.841 -0.729  -0.099
H 0.443 -0.037 3.607  0.121
C 2.198 -2.670 -0.539  -0.072
C 5.420 -3.470 1.739  -0.052
O -5.052 -1.115 0.798  -0.310
C 6.340 0.190 -0.802  -0.106
H 5.347 -3.899 0.740  0.064
H 3.701 -7.975 0.091  0.076
O 2.327 0.924 6.984  -0.306
C 0.502 1.052 3.599  -0.308
O -5.544 2.786 -4.697  -0.275
O 5.578 1.110 1.640  -0.295
O -3.936 -3.407 0.516  -0.245
S -0.410 -0.221 -2.039  0.717
H -5.568 -1.895 -2.335  0.066
C -4.739 5.012 -5.389  -0.062
H 4.516 -3.718 2.295  0.072
C -1.841 -3.250 1.640  -0.022
H 1.951 -2.487 0.507  0.085
C -2.633 -3.057 0.312  -0.359
C -0.153 1.860 6.867  -0.102
H 3.642 -6.248 0.206  0.067
C 5.717 -1.897 1.679  -0.227
H -2.592 -2.009 0.011  0.081
H -0.822 -2.922 1.435  0.066
O 0.718 -0.958 -1.051  -0.289
H 1.310 3.577 -1.345  0.079
H -3.541 1.666 -6.221  0.070
O 0.514 0.559 -2.914  -0.310
H -4.918 6.087 -5.356  0.077
H 5.717 -7.991 1.040  0.076
O -4.100 2.034 -2.726  -0.310
H -1.416 2.816 2.115  0.053
H 2.376 1.280 2.440  0.082
H -2.002 3.678 0.811  0.047
H -2.457 -2.650 2.309  0.086
H -3.268 3.159 1.943  0.099
H -0.939 1.970 6.121  0.059
C 1.169 -2.227 -1.543  -0.270
C -5.483 4.159 -4.351  -0.280
H 6.232 -3.970 2.266  0.075
O 4.742 -1.192 0.849  -0.308
O 3.856 1.043 -0.168  -0.294
O -5.024 0.224 -4.243  -0.309
S 1.116 0.726 6.170  0.720
H 2.689 -3.636 -0.652  0.073
H -1.831 -4.319 1.857  0.079
H 0.232 5.821 -1.337  0.080
S -4.494 1.598 -4.043  0.710
O -1.972 4.672 2.563  -0.112
H -5.182 4.165 -3.303  0.108
H -0.280 1.504 -0.471  0.044
H -2.125 -3.459 -0.565  0.114
C -3.077 1.706 -5.236  -0.080
O 0.573 3.894 -1.872  -0.114